~~~
[1]
# DySbPt | the Materials Project database | PBE | optimized geometry
# Calculated volume (Å³ per cell): 289.5
# Piezoelectric modulus e_max (C/m2): 0.35
# ΔE_f (eV/f.u.): -3.65
# Crystal system: cubic
data_DySbPt
_cell_length_a 6.615
_cell_length_b 6.615
_cell_length_c 6.615
_cell_angle_alpha 90.00
_cell_angle_beta 90.00
_cell_angle_gamma 90.00
_space_group_name_H-M_alt 'F -4 3 m'
_space_group_IT_number 216
_space_group_name_Hall 'F -4 2 3'
loop_
_atom_site_label
_atom_site_type_symbol
_atom_site_fract_x
_atom_site_fract_y
_atom_site_fract_z
Dy1 Dy 0.000 0.000 0.000
Sb1 Sb 0.000 0.000 0.500
Pt1 Pt 0.250 0.250 0.750

[2]
# Tb2Br2O | the Materials Project database | PBE | optimized geometry
# M_tot (μB per atom): 0.00
# Calculated volume (Å³ per cell): 228.6
# ΔE_f (eV/f.u.): -6.55
# Corrected total energy (MP2020 scheme) (eV/atom): -4.81
# Crystal system: tetragonal
data_Tb2Br2O
_cell_length_a 4.140
_cell_length_b 4.140
_cell_length_c 13.334
_cell_angle_alpha 90.00
_cell_angle_beta 90.00
_cell_angle_gamma 90.00
_space_group_name_H-M_alt 'P 4/m m m'
_space_group_IT_number 123
_space_group_name_Hall '-P 4 2'
loop_
_atom_site_label
_atom_site_type_symbol
_atom_site_fract_x
_atom_site_fract_y
_atom_site_fract_z
Tb1 Tb 0.000 0.000 0.156
Br1 Br 0.000 0.000 0.353
O1 O 0.000 0.000 0.000

[3]
# CaMg6Zr | the Materials Project database | PBE | optimized geometry
# M_tot (μB per atom): 0.01
# Energy relative to the lowest polymorph listed for this composition (eV/atom): 0.0000
# Calculated volume (Å³ per cell): 195.3
# ΔE_f (eV/f.u.): 0.11
# Crystal system: tetragonal
data_CaMg6Zr
_cell_length_a 6.473
_cell_length_b 6.473
_cell_length_c 4.662
_cell_angle_alpha 90.00
_cell_angle_beta 90.00
_cell_angle_gamma 90.00
_space_group_name_H-M_alt 'P 4/m m m'
_space_group_IT_number 123
_space_group_name_Hall '-P 4 2'
loop_
_atom_site_label
_atom_site_type_symbol
_atom_site_fract_x
_atom_site_fract_y
_atom_site_fract_z
Ca1 Ca 0.000 0.000 0.000
Mg1 Mg 0.000 0.500 0.000
Mg2 Mg 0.265 0.265 0.500
Zr1 Zr 0.500 0.500 0.000

[4]
# Cs2AgSbCl6 | the Materials Project database | PBE | optimized geometry
# M_tot (μB per atom): 0.00
# Calculated volume (Å³ per cell): 1277.9
# ΔE_f (eV/f.u.): -16.55
# Corrected total energy (MP2020 scheme) (eV/atom): -3.64
# Crystal system: cubic
data_Cs2AgSbCl6
_cell_length_a 10.852
_cell_length_b 10.852
_cell_length_c 10.852
_cell_angle_alpha 90.00
_cell_angle_beta 90.00
_cell_angle_gamma 90.00
_space_group_name_H-M_alt 'F m -3 m'
_space_group_IT_number 225
_space_group_name_Hall '-F 4 2 3'
loop_
_atom_site_label
_atom_site_type_symbol
_atom_site_fract_x
_atom_site_fract_y
_atom_site_fract_z
Cs1 Cs 0.250 0.250 0.250
Ag1 Ag 0.000 0.000 0.000
Sb1 Sb 0.000 0.000 0.500
Cl1 Cl 0.000 0.000 0.254

[5]
# As4S5 | the Materials Project database | PBE | optimized geometry
# Calculated volume (Å³ per cell): 553.2
# ΔE_f (eV/f.u.): -3.66
# Corrected total energy (MP2020 scheme) (eV/atom): -4.78
# Crystal system: monoclinic
data_As4S5
_cell_length_a 8.094
_cell_length_b 8.477
_cell_length_c 8.262
_cell_angle_alpha 90.00
_cell_angle_beta 102.63
_cell_angle_gamma 90.00
_space_group_name_H-M_alt 'P 1 21/m 1'
_space_group_IT_number 11
loop_
_space_group_symop_operation_xyz
'x,y,z'
'-x,-y,-z'
'-x,y+1/2,-z'
'x,-y+1/2,z'
loop_
_atom_site_label
_atom_site_type_symbol
_atom_site_fract_x
_atom_site_fract_y
_atom_site_fract_z
As1 As 0.029 0.250 0.452
As2 As 0.238 0.519 0.888
As3 As 0.283 0.750 0.522
S1 S 0.028 0.043 0.275
S2 S 0.284 0.750 0.035
S3 S 0.382 0.539 0.682

[6]
# HoInPt2 | the Materials Project database | PBE | optimized geometry
# Calculated volume (Å³ per cell): 313.9
# ΔE_f (eV/f.u.): -3.65
# Crystal system: cubic
data_HoInPt2
_cell_length_a 6.796
_cell_length_b 6.796
_cell_length_c 6.796
_cell_angle_alpha 90.00
_cell_angle_beta 90.00
_cell_angle_gamma 90.00
_space_group_name_H-M_alt 'F m -3 m'
_space_group_IT_number 225
_space_group_name_Hall '-F 4 2 3'
loop_
_atom_site_label
_atom_site_type_symbol
_atom_site_fract_x
~~~

Please restate the block earlier on without altering anything.

[1]
# DySbPt | the Materials Project database | PBE | optimized geometry
# Calculated volume (Å³ per cell): 289.5
# Piezoelectric modulus e_max (C/m2): 0.35
# ΔE_f (eV/f.u.): -3.65
# Crystal system: cubic
data_DySbPt
_cell_length_a 6.615
_cell_length_b 6.615
_cell_length_c 6.615
_cell_angle_alpha 90.00
_cell_angle_beta 90.00
_cell_angle_gamma 90.00
_space_group_name_H-M_alt 'F -4 3 m'
_space_group_IT_number 216
_space_group_name_Hall 'F -4 2 3'
loop_
_atom_site_label
_atom_site_type_symbol
_atom_site_fract_x
_atom_site_fract_y
_atom_site_fract_z
Dy1 Dy 0.000 0.000 0.000
Sb1 Sb 0.000 0.000 0.500
Pt1 Pt 0.250 0.250 0.750

[2]
# Tb2Br2O | the Materials Project database | PBE | optimized geometry
# M_tot (μB per atom): 0.00
# Calculated volume (Å³ per cell): 228.6
# ΔE_f (eV/f.u.): -6.55
# Corrected total energy (MP2020 scheme) (eV/atom): -4.81
# Crystal system: tetragonal
data_Tb2Br2O
_cell_length_a 4.140
_cell_length_b 4.140
_cell_length_c 13.334
_cell_angle_alpha 90.00
_cell_angle_beta 90.00
_cell_angle_gamma 90.00
_space_group_name_H-M_alt 'P 4/m m m'
_space_group_IT_number 123
_space_group_name_Hall '-P 4 2'
loop_
_atom_site_label
_atom_site_type_symbol
_atom_site_fract_x
_atom_site_fract_y
_atom_site_fract_z
Tb1 Tb 0.000 0.000 0.156
Br1 Br 0.000 0.000 0.353
O1 O 0.000 0.000 0.000

[3]
# CaMg6Zr | the Materials Project database | PBE | optimized geometry
# M_tot (μB per atom): 0.01
# Energy relative to the lowest polymorph listed for this composition (eV/atom): 0.0000
# Calculated volume (Å³ per cell): 195.3
# ΔE_f (eV/f.u.): 0.11
# Crystal system: tetragonal
data_CaMg6Zr
_cell_length_a 6.473
_cell_length_b 6.473
_cell_length_c 4.662
_cell_angle_alpha 90.00
_cell_angle_beta 90.00
_cell_angle_gamma 90.00
_space_group_name_H-M_alt 'P 4/m m m'
_space_group_IT_number 123
_space_group_name_Hall '-P 4 2'
loop_
_atom_site_label
_atom_site_type_symbol
_atom_site_fract_x
_atom_site_fract_y
_atom_site_fract_z
Ca1 Ca 0.000 0.000 0.000
Mg1 Mg 0.000 0.500 0.000
Mg2 Mg 0.265 0.265 0.500
Zr1 Zr 0.500 0.500 0.000

[4]
# Cs2AgSbCl6 | the Materials Project database | PBE | optimized geometry
# M_tot (μB per atom): 0.00
# Calculated volume (Å³ per cell): 1277.9
# ΔE_f (eV/f.u.): -16.55
# Corrected total energy (MP2020 scheme) (eV/atom): -3.64
# Crystal system: cubic
data_Cs2AgSbCl6
_cell_length_a 10.852
_cell_length_b 10.852
_cell_length_c 10.852
_cell_angle_alpha 90.00
_cell_angle_beta 90.00
_cell_angle_gamma 90.00
_space_group_name_H-M_alt 'F m -3 m'
_space_group_IT_number 225
_space_group_name_Hall '-F 4 2 3'
loop_
_atom_site_label
_atom_site_type_symbol
_atom_site_fract_x
_atom_site_fract_y
_atom_site_fract_z
Cs1 Cs 0.250 0.250 0.250
Ag1 Ag 0.000 0.000 0.000
Sb1 Sb 0.000 0.000 0.500
Cl1 Cl 0.000 0.000 0.254

[5]
# As4S5 | the Materials Project database | PBE | optimized geometry
# Calculated volume (Å³ per cell): 553.2
# ΔE_f (eV/f.u.): -3.66
# Corrected total energy (MP2020 scheme) (eV/atom): -4.78
# Crystal system: monoclinic
data_As4S5
_cell_length_a 8.094
_cell_length_b 8.477
_cell_length_c 8.262
_cell_angle_alpha 90.00
_cell_angle_beta 102.63
_cell_angle_gamma 90.00
_space_group_name_H-M_alt 'P 1 21/m 1'
_space_group_IT_number 11
loop_
_space_group_symop_operation_xyz
'x,y,z'
'-x,-y,-z'
'-x,y+1/2,-z'
'x,-y+1/2,z'
loop_
_atom_site_label
_atom_site_type_symbol
_atom_site_fract_x
_atom_site_fract_y
_atom_site_fract_z
As1 As 0.029 0.250 0.452
As2 As 0.238 0.519 0.888
As3 As 0.283 0.750 0.522
S1 S 0.028 0.043 0.275
S2 S 0.284 0.750 0.035
S3 S 0.382 0.539 0.682

[6]
# HoInPt2 | the Materials Project database | PBE | optimized geometry
# Calculated volume (Å³ per cell): 313.9
# ΔE_f (eV/f.u.): -3.65
# Crystal system: cubic
data_HoInPt2
_cell_length_a 6.796
_cell_length_b 6.796
_cell_length_c 6.796
_cell_angle_alpha 90.00
_cell_angle_beta 90.00
_cell_angle_gamma 90.00
_space_group_name_H-M_alt 'F m -3 m'
_space_group_IT_number 225
_space_group_name_Hall '-F 4 2 3'
loop_
_atom_site_label
_atom_site_type_symbol
_atom_site_fract_x